-- begin --
Y6Zn5Tc (PBE, optimized geometry); symmetry = Cmmm (65); E_form = -317.2 meV per atom; calculated density = 5.9 Mg/m³; final energy = -4.94 eV/atom; crystal system = orthorhombic
1.0
-4.006 1.463 2.653
-1.201 -6.775 1.922
2.355 1.677 7.383
Zn Y Tc
5 6 1
direct
0.000 0.500 0.000
0.333 0.500 0.333
0.669 0.000 0.661
0.667 0.500 0.667
0.331 0.000 0.339
0.838 0.244 0.323
0.500 0.240 0.000
0.500 0.760 0.000
0.162 0.756 0.677
0.162 0.244 0.677
0.838 0.756 0.323
0.000 0.000 0.000

CaTcRh (PBE, optimized geometry); polymorph energy (0 for the lowest one) = 155 meV/atom; symmetry = Pm (6); E_form = 52.5 meV per atom; calculated density = 6.2 Mg/m³; final energy = -6.52 eV/atom; crystal system = monoclinic
1.0
-0.124 0.211 -4.272
-0.184 -4.382 -0.210
-6.884 0.023 0.201
Ca Tc Rh
2 2 2
direct
0.546 0.764 0.115
0.046 0.269 0.803
0.545 0.829 0.612
0.545 0.297 0.447
0.045 0.697 0.458
0.045 0.199 0.250

ReSb3P (PBE, optimized geometry); polymorph energy (0 for the lowest one) = 572 meV/atom; symmetry = Pm-3m (221); formation energy (no corrections) = 1.42 eV per atom; calculated density = 7.6 Mg/m³; final energy = -4.63 eV/atom; crystal system = cubic
1.0
5.036 0.000 0.000
0.000 5.036 0.000
0.000 0.000 5.036
Sb P Re
3 1 1
direct
0.000 0.500 0.000
0.000 0.000 0.500
0.500 0.000 0.000
0.000 0.000 0.000
0.500 0.500 0.500

Th2ScRh (PBE, optimized geometry); polymorph energy (0 for the lowest one) = 0 meV/atom; symmetry = Cmcm (63); E_form = -414.2 meV per atom; calculated density = 9.7 Mg/m³; final energy = -7.54 eV/atom; crystal system = orthorhombic
1.0
-2.986 0.110 2.099
4.695 -1.309 3.575
1.489 9.733 1.609
Th Sc Rh
4 2 2
direct
0.368 0.735 0.943
0.632 0.265 0.057
0.632 0.265 0.443
0.368 0.735 0.557
0.911 0.821 0.250
0.089 0.179 0.750
0.778 0.555 0.750
0.222 0.445 0.250

CaDy2Ho3Te6 (PBE, optimized geometry); symmetry = C2/m (12); formation energy (no corrections) = -1.32 eV per atom; calculated density = 7.6 Mg/m³; final energy = -4.97 eV/atom; crystal system = monoclinic
1.0
4.364 0.000 0.000
0.000 8.740 0.294
-2.182 -2.542 9.177
Te Dy Ca Ho
6 2 1 3
direct
0.332 0.919 0.664
0.664 0.583 0.328
0.336 0.417 0.672
0.998 0.747 0.996
0.668 0.081 0.336
0.002 0.253 0.004
0.828 0.657 0.657
0.172 0.343 0.343
0.500 0.000 0.000
0.500 0.500 0.000
0.166 0.824 0.333
0.834 0.176 0.667

Repeat the first record exactly.
Y6Zn5Tc (PBE, optimized geometry); symmetry = Cmmm (65); E_form = -317.2 meV per atom; calculated density = 5.9 Mg/m³; final energy = -4.94 eV/atom; crystal system = orthorhombic
1.0
-4.006 1.463 2.653
-1.201 -6.775 1.922
2.355 1.677 7.383
Zn Y Tc
5 6 1
direct
0.000 0.500 0.000
0.333 0.500 0.333
0.669 0.000 0.661
0.667 0.500 0.667
0.331 0.000 0.339
0.838 0.244 0.323
0.500 0.240 0.000
0.500 0.760 0.000
0.162 0.756 0.677
0.162 0.244 0.677
0.838 0.756 0.323
0.000 0.000 0.000

Question: Among the records above, which one has the highest final energy?
Answer: ReSb3P

Question: Which of these has the lowest final energy?
Answer: Th2ScRh

Question: Number 4 is which compound?
Answer: Th2ScRh

* * * * *

Compound: Dy4AuC
Source: Alexandria via LeMat-Bulk
Functional: PBE
Structure: optimized geometry

Summary:
electronic total energy	-5.494	eV per atom
DFT formation energy	-0.343	eV/atom
space group	C2/c, No. 15
DOS(E_F)	0.97	states/eV/atom

Cell and atoms, written as POSCAR:
```
Dy4AuC
1.0
-2.6007 -4.0553 4.0627
6.3922 1.7268 2.8330
-4.7961 6.3895 -0.0887
Dy Au C
8 2 2
direct
0.2894 0.9389 0.5986 Dy
0.0128 0.8147 0.0926 Dy
0.1907 0.3403 0.4014 Dy
0.4202 0.7221 0.9074 Dy
0.7106 0.0611 0.4014 Dy
0.8093 0.6597 0.5986 Dy
0.9872 0.1853 0.9074 Dy
0.5798 0.2779 0.0926 Dy
0.3723 0.6223 0.2445 Au
0.6277 0.3777 0.7555 Au
0.8138 0.0638 0.1275 C
0.1862 0.9362 0.8725 C
```

=====

Compound: DyAuC
Source: Alexandria via LeMat-Bulk
Functional: PBE
Structure: optimized geometry

Summary:
electronic total energy	-6.072	eV per atom
DFT formation energy	-0.371	eV/atom
space group	C2/m, No. 12
DOS(E_F)	0.41	states/eV/atom

Cell and atoms, written as POSCAR:
```
DyAuC
1.0
-- stop --

The reader should print the listing further up without altering anything.

Y6Zn5Tc (PBE, optimized geometry); symmetry = Cmmm (65); E_form = -317.2 meV per atom; calculated density = 5.9 Mg/m³; final energy = -4.94 eV/atom; crystal system = orthorhombic
1.0
-4.006 1.463 2.653
-1.201 -6.775 1.922
2.355 1.677 7.383
Zn Y Tc
5 6 1
direct
0.000 0.500 0.000
0.333 0.500 0.333
0.669 0.000 0.661
0.667 0.500 0.667
0.331 0.000 0.339
0.838 0.244 0.323
0.500 0.240 0.000
0.500 0.760 0.000
0.162 0.756 0.677
0.162 0.244 0.677
0.838 0.756 0.323
0.000 0.000 0.000

CaTcRh (PBE, optimized geometry); polymorph energy (0 for the lowest one) = 155 meV/atom; symmetry = Pm (6); E_form = 52.5 meV per atom; calculated density = 6.2 Mg/m³; final energy = -6.52 eV/atom; crystal system = monoclinic
1.0
-0.124 0.211 -4.272
-0.184 -4.382 -0.210
-6.884 0.023 0.201
Ca Tc Rh
2 2 2
direct
0.546 0.764 0.115
0.046 0.269 0.803
0.545 0.829 0.612
0.545 0.297 0.447
0.045 0.697 0.458
0.045 0.199 0.250

ReSb3P (PBE, optimized geometry); polymorph energy (0 for the lowest one) = 572 meV/atom; symmetry = Pm-3m (221); formation energy (no corrections) = 1.42 eV per atom; calculated density = 7.6 Mg/m³; final energy = -4.63 eV/atom; crystal system = cubic
1.0
5.036 0.000 0.000
0.000 5.036 0.000
0.000 0.000 5.036
Sb P Re
3 1 1
direct
0.000 0.500 0.000
0.000 0.000 0.500
0.500 0.000 0.000
0.000 0.000 0.000
0.500 0.500 0.500

Th2ScRh (PBE, optimized geometry); polymorph energy (0 for the lowest one) = 0 meV/atom; symmetry = Cmcm (63); E_form = -414.2 meV per atom; calculated density = 9.7 Mg/m³; final energy = -7.54 eV/atom; crystal system = orthorhombic
1.0
-2.986 0.110 2.099
4.695 -1.309 3.575
1.489 9.733 1.609
Th Sc Rh
4 2 2
direct
0.368 0.735 0.943
0.632 0.265 0.057
0.632 0.265 0.443
0.368 0.735 0.557
0.911 0.821 0.250
0.089 0.179 0.750
0.778 0.555 0.750
0.222 0.445 0.250

CaDy2Ho3Te6 (PBE, optimized geometry); symmetry = C2/m (12); formation energy (no corrections) = -1.32 eV per atom; calculated density = 7.6 Mg/m³; final energy = -4.97 eV/atom; crystal system = monoclinic
1.0
4.364 0.000 0.000
0.000 8.740 0.294
-2.182 -2.542 9.177
Te Dy Ca Ho
6 2 1 3
direct
0.332 0.919 0.664
0.664 0.583 0.328
0.336 0.417 0.672
0.998 0.747 0.996
0.668 0.081 0.336
0.002 0.253 0.004
0.828 0.657 0.657
0.172 0.343 0.343
0.500 0.000 0.000
0.500 0.500 0.000
0.166 0.824 0.333
0.834 0.176 0.667

Repeat the first record exactly.
Y6Zn5Tc (PBE, optimized geometry); symmetry = Cmmm (65); E_form = -317.2 meV per atom; calculated density = 5.9 Mg/m³; final energy = -4.94 eV/atom; crystal system = orthorhombic
1.0
-4.006 1.463 2.653
-1.201 -6.775 1.922
2.355 1.677 7.383
Zn Y Tc
5 6 1
direct
0.000 0.500 0.000
0.333 0.500 0.333
0.669 0.000 0.661
0.667 0.500 0.667
0.331 0.000 0.339
0.838 0.244 0.323
0.500 0.240 0.000
0.500 0.760 0.000
0.162 0.756 0.677
0.162 0.244 0.677
0.838 0.756 0.323
0.000 0.000 0.000

Question: Among the records above, which one has the highest final energy?
Answer: ReSb3P

Question: Which of these has the lowest final energy?
Answer: Th2ScRh

Question: Number 4 is which compound?
Answer: Th2ScRh

* * * * *

Compound: Dy4AuC
Source: Alexandria via LeMat-Bulk
Functional: PBE
Structure: optimized geometry

Summary:
electronic total energy	-5.494	eV per atom
DFT formation energy	-0.343	eV/atom
space group	C2/c, No. 15
DOS(E_F)	0.97	states/eV/atom

Cell and atoms, written as POSCAR:
```
Dy4AuC
1.0
-2.6007 -4.0553 4.0627
6.3922 1.7268 2.8330
-4.7961 6.3895 -0.0887
Dy Au C
8 2 2
direct
0.2894 0.9389 0.5986 Dy
0.0128 0.8147 0.0926 Dy
0.1907 0.3403 0.4014 Dy
0.4202 0.7221 0.9074 Dy
0.7106 0.0611 0.4014 Dy
0.8093 0.6597 0.5986 Dy
0.9872 0.1853 0.9074 Dy
0.5798 0.2779 0.0926 Dy
0.3723 0.6223 0.2445 Au
0.6277 0.3777 0.7555 Au
0.8138 0.0638 0.1275 C
0.1862 0.9362 0.8725 C
```

=====

Compound: DyAuC
Source: Alexandria via LeMat-Bulk
Functional: PBE
Structure: optimized geometry

Summary:
electronic total energy	-6.072	eV per atom
DFT formation energy	-0.371	eV/atom
space group	C2/m, No. 12
DOS(E_F)	0.41	states/eV/atom

Cell and atoms, written as POSCAR:
```
DyAuC
1.0